Excerpt:
- - -
Here is a geometry-optimized CaS2Cl2O6 structure from the Materials Project. Energies are from PBE.

Cell: 9.3896 10.4463 17.6381 Å, 90.00 90.00 90.00°
Element x y z (fractional)
Ca (0.6390, 0.4019, 0.3716)
Ca (0.8610, 0.9019, 0.6284)
Ca (0.6390, 0.9019, 0.1284)
Ca (0.1390, 0.0981, 0.3716)
Ca (0.3610, 0.5981, 0.6284)
Ca (0.1390, 0.5981, 0.1284)
Ca (0.8610, 0.4019, 0.8716)
Ca (0.3610, 0.0981, 0.8716)
S (0.0319, 0.6496, 0.7464)
S (0.2215, 0.3872, 0.9691)
S (0.9681, 0.3504, 0.2536)
S (0.4681, 0.1496, 0.2536)
S (0.2785, 0.3872, 0.4691)
S (0.2215, 0.8872, 0.5309)
S (0.9681, 0.8504, 0.2464)
S (0.4681, 0.6496, 0.2464)
S (0.0319, 0.1496, 0.7536)
S (0.7785, 0.1128, 0.4691)
S (0.7215, 0.6128, 0.5309)
S (0.2785, 0.8872, 0.0309)
S (0.5319, 0.3504, 0.7536)
S (0.5319, 0.8504, 0.7464)
S (0.7215, 0.1128, 0.9691)
S (0.7785, 0.6128, 0.0309)
Cl (0.8583, 0.4878, 0.5836)
Cl (0.3809, 0.2570, 0.1679)
Cl (0.3583, 0.0122, 0.5836)
Cl (0.6191, 0.2430, 0.6679)
Cl (0.8809, 0.7430, 0.3321)
Cl (0.6191, 0.7430, 0.8321)
Cl (0.1191, 0.2570, 0.6679)
Cl (0.1191, 0.7570, 0.8321)
Cl (0.8809, 0.2430, 0.1679)
Cl (0.1417, 0.0122, 0.0836)
Cl (0.6417, 0.9878, 0.4164)
Cl (0.8583, 0.9878, 0.9164)
Cl (0.1417, 0.5122, 0.4164)
Cl (0.3583, 0.5122, 0.9164)
Cl (0.6417, 0.4878, 0.0836)
Cl (0.3809, 0.7570, 0.3321)
O (0.7853, 0.2389, 0.9587)
O (0.5623, 0.2374, 0.2934)
O (0.9568, 0.5467, 0.7849)
O (0.2800, 0.4298, 0.5480)
O (0.0856, 0.9038, 0.5695)
O (0.7200, 0.5702, 0.4520)
O (0.5432, 0.0467, 0.2151)
O (0.9144, 0.5962, 0.0695)
O (0.0856, 0.4038, 0.9305)
O (0.8478, 0.3942, 0.2989)
O (0.2853, 0.7611, 0.5413)
O (0.5432, 0.5467, 0.2849)
O (0.7800, 0.5702, 0.9520)
O (0.4144, 0.4038, 0.4305)
O (0.9568, 0.0467, 0.7151)
O (0.5623, 0.7374, 0.2066)
O (0.5856, 0.0962, 0.9305)
O (0.1522, 0.6058, 0.7011)
O (0.0432, 0.4533, 0.2151)
O (0.7147, 0.7389, 0.0413)
O (0.1522, 0.1058, 0.7989)
O (0.2853, 0.2611, 0.9587)
O (0.3478, 0.6058, 0.2011)
O (0.7853, 0.7389, 0.5413)
O (0.9144, 0.0962, 0.4305)
O (0.4377, 0.7626, 0.7066)
O (0.0623, 0.2626, 0.2934)
O (0.4144, 0.9038, 0.0695)
O (0.2200, 0.9298, 0.4520)
O (0.4377, 0.2626, 0.7934)
O (0.2200, 0.4298, 0.0480)
O (0.5856, 0.5962, 0.5695)
O (0.7147, 0.2389, 0.4587)
O (0.2800, 0.9298, 0.9520)
O (0.4568, 0.9533, 0.7849)
O (0.2147, 0.2611, 0.4587)
O (0.6522, 0.3942, 0.7989)
O (0.0623, 0.7626, 0.2066)
O (0.0432, 0.9533, 0.2849)
O (0.7200, 0.0702, 0.0480)
O (0.2147, 0.7611, 0.0413)
O (0.6522, 0.8942, 0.7011)
O (0.9377, 0.2374, 0.7934)
O (0.9377, 0.7374, 0.7066)
O (0.8478, 0.8942, 0.2011)
O (0.4568, 0.4533, 0.7151)
O (0.7800, 0.0702, 0.5480)
O (0.3478, 0.1058, 0.2989)

=====

Here is a geometry-optimized EuZnSn structure from the Materials Project. Energies are from PBE.

Cell: 6.1116 6.1116 7.6879 Å, 51.46 51.46 46.37°
Element x y z (fractional)
Eu (0.5376, 0.5376, 0.7141)
Eu (0.4624, 0.4624, 0.2859)
Zn (0.8471, 0.8471, 0.1008)
Zn (0.1529, 0.1529, 0.8992)
Sn (0.1714, 0.1714, 0.2742)
Sn (0.8286, 0.8286, 0.7258)

=====

Here is a geometry-optimized NaCu3PbSe4 structure from the Materials Project. Energies are from PBE.

Cell: 6.1447 6.1447 6.1447 Å, 90.00 90.00 90.00°
Element x y z (fractional)
Na (0.5000, 0.5000, 0.5000)
Cu (0.0000, 0.5000, 0.0000)
Cu (0.0000, 0.0000, 0.5000)
Cu (0.5000, 0.0000, 0.0000)
Pb (0.0000, 0.0000, 0.0000)
Se (0.2464, 0.2464, 0.2464)
Se (0.7536, 0.7536, 0.2464)
Se (0.2464, 0.7536, 0.7536)
Se (0.7536, 0.2464, 0.7536)

=====

Here is a geometry-optimized Ca3SnF6 structure from the Materials Project. Energies are from PBE.

Cell: 6.9066 6.6764 8.8206 Å, 77.51 136.33 119.60°
Element x y z (fractional)
Ca (0.0000, 0.0000, 0.5000)
Ca (0.5000, 0.5000, 0.0000)
Ca (0.0000, 0.5000, 0.0000)
Sn (0.0000, 0.0000, 0.0000)
F (0.0789, 0.5485, 0.7821)
F (0.9211, 0.4515, 0.2179)
F (0.9718, 0.9944, 0.7289)
F (0.0282, 0.0056, 0.2711)
F (0.4568, 0.3383, 0.7558)
F (0.5432, 0.6617, 0.2442)

The relative energy among the computed polymorphs comes out at 180 meV/atom.

=====
- - -

Assignment:
Duplicate everything earlier on unchanged.

Outcome:
Here is a geometry-optimized CaS2Cl2O6 structure from the Materials Project. Energies are from PBE.

Cell: 9.3896 10.4463 17.6381 Å, 90.00 90.00 90.00°
Element x y z (fractional)
Ca (0.6390, 0.4019, 0.3716)
Ca (0.8610, 0.9019, 0.6284)
Ca (0.6390, 0.9019, 0.1284)
Ca (0.1390, 0.0981, 0.3716)
Ca (0.3610, 0.5981, 0.6284)
Ca (0.1390, 0.5981, 0.1284)
Ca (0.8610, 0.4019, 0.8716)
Ca (0.3610, 0.0981, 0.8716)
S (0.0319, 0.6496, 0.7464)
S (0.2215, 0.3872, 0.9691)
S (0.9681, 0.3504, 0.2536)
S (0.4681, 0.1496, 0.2536)
S (0.2785, 0.3872, 0.4691)
S (0.2215, 0.8872, 0.5309)
S (0.9681, 0.8504, 0.2464)
S (0.4681, 0.6496, 0.2464)
S (0.0319, 0.1496, 0.7536)
S (0.7785, 0.1128, 0.4691)
S (0.7215, 0.6128, 0.5309)
S (0.2785, 0.8872, 0.0309)
S (0.5319, 0.3504, 0.7536)
S (0.5319, 0.8504, 0.7464)
S (0.7215, 0.1128, 0.9691)
S (0.7785, 0.6128, 0.0309)
Cl (0.8583, 0.4878, 0.5836)
Cl (0.3809, 0.2570, 0.1679)
Cl (0.3583, 0.0122, 0.5836)
Cl (0.6191, 0.2430, 0.6679)
Cl (0.8809, 0.7430, 0.3321)
Cl (0.6191, 0.7430, 0.8321)
Cl (0.1191, 0.2570, 0.6679)
Cl (0.1191, 0.7570, 0.8321)
Cl (0.8809, 0.2430, 0.1679)
Cl (0.1417, 0.0122, 0.0836)
Cl (0.6417, 0.9878, 0.4164)
Cl (0.8583, 0.9878, 0.9164)
Cl (0.1417, 0.5122, 0.4164)
Cl (0.3583, 0.5122, 0.9164)
Cl (0.6417, 0.4878, 0.0836)
Cl (0.3809, 0.7570, 0.3321)
O (0.7853, 0.2389, 0.9587)
O (0.5623, 0.2374, 0.2934)
O (0.9568, 0.5467, 0.7849)
O (0.2800, 0.4298, 0.5480)
O (0.0856, 0.9038, 0.5695)
O (0.7200, 0.5702, 0.4520)
O (0.5432, 0.0467, 0.2151)
O (0.9144, 0.5962, 0.0695)
O (0.0856, 0.4038, 0.9305)
O (0.8478, 0.3942, 0.2989)
O (0.2853, 0.7611, 0.5413)
O (0.5432, 0.5467, 0.2849)
O (0.7800, 0.5702, 0.9520)
O (0.4144, 0.4038, 0.4305)
O (0.9568, 0.0467, 0.7151)
O (0.5623, 0.7374, 0.2066)
O (0.5856, 0.0962, 0.9305)
O (0.1522, 0.6058, 0.7011)
O (0.0432, 0.4533, 0.2151)
O (0.7147, 0.7389, 0.0413)
O (0.1522, 0.1058, 0.7989)
O (0.2853, 0.2611, 0.9587)
O (0.3478, 0.6058, 0.2011)
O (0.7853, 0.7389, 0.5413)
O (0.9144, 0.0962, 0.4305)
O (0.4377, 0.7626, 0.7066)
O (0.0623, 0.2626, 0.2934)
O (0.4144, 0.9038, 0.0695)
O (0.2200, 0.9298, 0.4520)
O (0.4377, 0.2626, 0.7934)
O (0.2200, 0.4298, 0.0480)
O (0.5856, 0.5962, 0.5695)
O (0.7147, 0.2389, 0.4587)
O (0.2800, 0.9298, 0.9520)
O (0.4568, 0.9533, 0.7849)
O (0.2147, 0.2611, 0.4587)
O (0.6522, 0.3942, 0.7989)
O (0.0623, 0.7626, 0.2066)
O (0.0432, 0.9533, 0.2849)
O (0.7200, 0.0702, 0.0480)
O (0.2147, 0.7611, 0.0413)
O (0.6522, 0.8942, 0.7011)
O (0.9377, 0.2374, 0.7934)
O (0.9377, 0.7374, 0.7066)
O (0.8478, 0.8942, 0.2011)
O (0.4568, 0.4533, 0.7151)
O (0.7800, 0.0702, 0.5480)
O (0.3478, 0.1058, 0.2989)

=====

Here is a geometry-optimized EuZnSn structure from the Materials Project. Energies are from PBE.

Cell: 6.1116 6.1116 7.6879 Å, 51.46 51.46 46.37°
Element x y z (fractional)
Eu (0.5376, 0.5376, 0.7141)
Eu (0.4624, 0.4624, 0.2859)
Zn (0.8471, 0.8471, 0.1008)
Zn (0.1529, 0.1529, 0.8992)
Sn (0.1714, 0.1714, 0.2742)
Sn (0.8286, 0.8286, 0.7258)

=====

Here is a geometry-optimized NaCu3PbSe4 structure from the Materials Project. Energies are from PBE.

Cell: 6.1447 6.1447 6.1447 Å, 90.00 90.00 90.00°
Element x y z (fractional)
Na (0.5000, 0.5000, 0.5000)
Cu (0.0000, 0.5000, 0.0000)
Cu (0.0000, 0.0000, 0.5000)
Cu (0.5000, 0.0000, 0.0000)
Pb (0.0000, 0.0000, 0.0000)
Se (0.2464, 0.2464, 0.2464)
Se (0.7536, 0.7536, 0.2464)
Se (0.2464, 0.7536, 0.7536)
Se (0.7536, 0.2464, 0.7536)

=====

Here is a geometry-optimized Ca3SnF6 structure from the Materials Project. Energies are from PBE.

Cell: 6.9066 6.6764 8.8206 Å, 77.51 136.33 119.60°
Element x y z (fractional)
Ca (0.0000, 0.0000, 0.5000)
Ca (0.5000, 0.5000, 0.0000)
Ca (0.0000, 0.5000, 0.0000)
Sn (0.0000, 0.0000, 0.0000)
F (0.0789, 0.5485, 0.7821)
F (0.9211, 0.4515, 0.2179)
F (0.9718, 0.9944, 0.7289)
F (0.0282, 0.0056, 0.2711)
F (0.4568, 0.3383, 0.7558)
F (0.5432, 0.6617, 0.2442)

The relative energy among the computed polymorphs comes out at 180 meV/atom.

=====